Saturday, July 7, 2012

The Supporting Cast - Why you need one

"There are basically two kinds of people.  People who accomplish things, and people who claim to have accomplished things.  The first group is less crowded." - Mark Twain

"My parents are my backbone.  Still are.  They're the only group that will support you if you score 0 or if you score 40." - Kobe Bryant

"So guess what folks?  NO EXCUSES!  Just get moving." - Cricket Walker

Okay, so I joined a gym just about exactly a month ago.  Have worked out several times, in fact.  Have even lost a few pounds doing it. 


Not yay enough, I must add--I'm not svelte yet.  The picture of the 165-pound guy running the Marine Corps Marathon still hangs there on the wall, taunting this 265-pound guy.  I'll, um, hopefully get there.  Eventually.  I think.  But yay, isn't a loss of a few pounds a good start?

The guy who signed us up for the gym membership is brilliant.  He's around the gym quite often, and he makes a point of recognizing people who've signed up recently whenever he sees them.  No cheering squad, but no firing squad, either.  Just a "hi, glad to see you're here again," message, delivered with a sincere smile and repeated every time he sees us. It's funny, in fact.  There are hundreds of people there when I go, yet not a one of them makes a difference in whether or not I go again quite like Brian does. 

Meanwhile, I just got pulled into a new Facebook group: Just Get Moving.  It was created by my friend Cricket (the famous Cricket Walker I quoted above), who's always doing something motivational.  Recently she's started posting her workouts (simple stuff: number of steps taken, number of miles walked, number of floors climbed) for the same reasons I used to post my word counts to the blog.  First, it's motivational to others; I know I usually grumble when I see her post if I haven't done my own part that day.  Second, it keeps the poster motivated when we're sticking our progress up there for everyone to see.  It's the old carrot and stick idea--the carrot when we've done well, and the stick when we're weighing whether or not to sit one out (after all, it's just one workout) in terms of how it'll feel to post "I was a big lazy couch potato today" (ish) to the Internet. 

Anyway, Cricket's new group is there for the members to talk about healthy eating, basic exercise, and most importantly just getting off of our duffs and doing something.  And it's a nice group to be in.  It gets to be a slog, going to the gym and watching the diet and then not losing weight as fast as I'd like to, and having somebody there to discuss the ups and downs with is really important.

That's a lesson, by the way, that bears repeating in nearly every theater of our lives.  Not long ago Rachelle Gardner made a point that we authors should surround ourselves with like-minded people: join, for example, a writing club.  Or a reading club.  Or both.  I know I get a charge out of Writers Wednesdays at the Capitol Ale House here with the James River Writers; just talking to people who are going through the same ups and downs and same long, slow slog through creating a novel-length story is motivational as hell. 

Similarly, one of the favorite activities, way back when I worked for the Arizona Technology Incubator, was the every-couple-weeks CEO meetings.  As I recall the events, all the CEOs of the various companies that were operating under the roof of the ATI (a high-tech incubator) would gather to eat lunch and discuss, in a freestyle fashion, the various successes and challenges they were facing, not in a boardroom high-stakes kind of way, but rather just informally as a group sharing stuff (without, of course, the stereotypical Kum-Ba-Yah singing and hugs at the end).  Yeah, they were sorta kinda (but not directly) competitors, and so they avoided proprietary topics, but there was always plenty of discussion to be had anyway. 

The principle was simple: it's hard at the top, and it takes time to build a business.  A lot of times people look at entrepreneurs like Bill Gates and Larry Ellison and see a guy who one day said "I have an idea for a software business" and the next month made a gajillion dollars.  There's no such thing in this world as long-lasting overnight success, though.  It's easy to watch shows like "How'd You Get So Rich?" and think otherwise, but every big business out there took time to build. 

Time, and challenges.  The founder of Charter College once told me a tale of his early years, having to dip into his own savings just to make payroll.  That story certainly isn't unique to his business.  Similarly, there are hundreds of accounts of people reaching a point in a novel's progress and not being able to move ahead for a while.  At the same time, we who are trying to lose weight have good weeks and bad weeks, and some of those bad weeks we cause ourselves (nom nom nom!), and others we don't. 

That, then, is why people working at long-term projects like weight loss (coupled, hopefully, with getting back in shape after *mumbledy*-five years of slothful living), writing novels, and building businesses all need some sort of support group. 



  1. What a wonderful article! Isn't it amazing how much more we can do when we have the support of our friends and loved ones surrounding us?

### Materials data that have nothing to do with the text
........
Record 1
VASP calculation (PBE) on crystalline Tm3Pu2ScTe6 at its relaxed geometry.

Unit cell a=9.677 b=9.677 c=8.689 alpha=103.42 beta=103.42 gamma=25.70
Atoms (fractional coordinates):
Tm: 0.000 0.000 0.000
Tm: 0.329 0.329 0.665
Tm: 0.671 0.671 0.335
Pu: 0.335 0.335 0.169
Pu: 0.665 0.665 0.831
Sc: 0.000 0.000 0.500
Te: 0.162 0.162 0.574
Te: 0.165 0.165 0.088
Te: 0.495 0.495 0.742
Te: 0.505 0.505 0.258
Te: 0.835 0.835 0.912
Te: 0.838 0.838 0.426

Values from the calculation:
- total DFT energy (no corrections) (eV/atom) = -6.758
- raw formation energy (kJ/mol of formula units) = -1335


Record 2
VASP calculation (PBE) on crystalline Pm2NdAg6 at its relaxed geometry.

Unit cell a=8.667 b=8.667 c=8.667 alpha=155.97 beta=124.68 gamma=61.16
Atoms (fractional coordinates):
Pm: 0.142 0.142 0.000
Pm: 0.858 0.858 0.000
Nd: 0.500 0.000 0.500
Ag: 0.146 0.325 0.821
Ag: 0.180 0.500 0.680
Ag: 0.496 0.675 0.821
Ag: 0.504 0.325 0.179
Ag: 0.820 0.500 0.320
Ag: 0.854 0.675 0.179

Values from the calculation:
- total DFT energy (no corrections) (eV/atom) = -3.674
- energy of formation from the pure elements (eV/f.u.) = -1.69
- ΔE to the lowest computed polymorph (meV/atom) = 71.0


Record 3
VASP calculation (PBE) on crystalline YZn12Pd6 at its relaxed geometry.

Unit cell a=7.169 b=7.169 c=7.169 alpha=105.28 beta=105.28 gamma=105.28
Atoms (fractional coordinates):
Y: 0.000 0.000 0.000
Zn: 0.111 0.500 0.889
Zn: 0.111 0.889 0.500
Zn: 0.136 0.384 0.384
Zn: 0.384 0.136 0.384
Zn: 0.384 0.384 0.136
Zn: 0.500 0.111 0.889
Zn: 0.500 0.889 0.111
Zn: 0.616 0.616 0.864
Zn: 0.616 0.864 0.616
Zn: 0.864 0.616 0.616
Zn: 0.889 0.111 0.500
Zn: 0.889 0.500 0.111
Pd: 0.284 0.284 0.709
Pd: 0.284 0.709 0.284
Pd: 0.291 0.716 0.716
Pd: 0.709 0.284 0.284
Pd: 0.716 0.291 0.716
Pd: 0.716 0.716 0.291

Values from the calculation:
- total DFT energy (no corrections) (eV/atom) = -3.100
- energy of formation from the pure elements (eV/f.u.) = -6.00


Record 4
VASP calculation (PBE) on crystalline HoZrPa2N6 at its relaxed geometry.

Unit cell a=6.008 b=6.008 c=6.008 alpha=58.31 beta=58.31 gamma=58.31
Atoms (fractional coordinates):
Ho: 0.000 0.000 0.000
Zr: 0.494 0.494 0.494
Pa: 0.275 0.275 0.275
Pa: 0.777 0.777 0.777
N: 0.094 0.657 0.399
N: 0.182 0.587 0.872
N: 0.399 0.094 0.657
N: 0.587 0.872 0.182
N: 0.657 0.399 0.094
N: 0.872 0.182 0.587

Values from the calculation:
- total DFT energy (no corrections) (eV/atom) = -9.641
- raw formation energy (kJ/mol of formula units) = -1383


Record 5
VASP calculation (PBE) on crystalline Be2NiAs at its relaxed geometry.

Unit cell a=2.766 b=2.766 c=6.129 alpha=90.00 beta=90.00 gamma=90.00
Atoms (fractional coordinates):
Be: 0.000 0.000 0.181
Be: 0.000 0.000 0.819
Ni: 0.500 0.500 0.000
As: 0.500 0.500 0.500

Values from the calculation:
- total DFT energy (no corrections) (eV/atom) = -4.409
- energy of formation from the pure elements (eV/f.u.) = 0.25


Record 6
VASP calculation (PBE) on crystalline TbTh4As6 at its relaxed geometry.
........
### Back to the text

  2. Thank you "The Other Stephen King" for posting this.
